Reason Weekly Contest: Harry Potter Appropriates All the Cultures
Last week's winners revealed.
Welcome back to the Reason Weekly Contest! This week's prompt is:
Recently, a 4-year-old was recommended for a counter-terrorism program after he mispronounced "cucumber" and "cooker bomb." Come up with the next goofed up word or phrase that might get a kid reported to the authorities.
How to enter: Submissions should be e-mailed to Please include your name, city, and state. This week, kindly type "KID WORD" in the subject line. Entries are due by 11 p.m. Eastern Time, Monday, March 21. Winners will appear on March 25. In the case of identical or similar entries, the first one received gets credit. First prize is a one-year digital subscription to Reason magazine, plus bragging rights. While we appreciate kibbitzing in the comments below, you must email your answer to enter the contest. Feel free to enter more than once, and good luck!
And now for the results of last week's contest: After an academic accused J.K. Rowling of "culturally appropriating" Native American myths, we asked you to come up with the name of the next truly offensive Harry Potter sequel or spin-off.
Harry Potter and the Tepee of Tears -- Joshua Cleveland, Baltimore, MD
Harry Potter and the College Tequila Party -- Jason Bedrick, Washington, DC
Harry Potter and the Enviable Wand -- -- K.C. Decker, Denton, MD
Harry Potter and the Chamber of LGBT Secrets -- Ed Perovic, Winnetka, IL
Harry Potter and the Blanket of Smallpox -- Robert Brown, Micanopy, FF
Harry Potter and the Chamber of Microaggressions -- CG
Harry Potter & The Consensual Sexual Encounter -- Brent Ingebretsen, Richmond, VA
Harry Potter and the Firebolt Phallusy -- Tim Whalen - Manassas, VA
It Takes a Horcrux -- Colin Blake, Boston, MA
Muggle Lives Matter -- Robert Ryan, Dallas City, IL
Harry Potter and the Retroactive Sexual Orientation -- Jay Stenmark, Madison, AL
Harry Potter and the Voodoo Curse -- Sam Miller, St. Paul, MN
Hagrid and His Unhealthy Obesity
Harry Potter and Concerned Hogwarts Student 1950 -- Charlie Baker, Somerville, MA
Harry Potter and the Trail of Tears -- Aresen
Harry Potter and the Magical Chicken of General Tso -- Theresa Klein, Leesburg, VA
Harry Potter and the Prisoner of Guantanamo -- Vivian James, Germany, Cologne
Harry Potter and the Heap Big Wampum -- P.S.
Harry Potter and the Unchecked Privilege
Harry Potter and the Quidditch Participation Trophy
Harry Potter and the Pipe of Peace
Harry Potter and The Religious Bakery
Harry Potter and the Pound of Flesh
== Unrelated to this page: materials data ==
# Ti2H3N
Calculated X-ray powder pattern, CuKα. Input: DFT lattice parameters and positions (GGA-PBE).

Main lines, in order of rising 2θ (2θ = 10–90°):
index, Position (°2θ), d [Å], intensity
1 1 0, 27.41, 3.254, 4.8
1 1 1, 33.74, 2.657, 100.0
2 0 0, 39.15, 2.301, 32.4
2 1 1, 48.46, 1.879, 1.4
2 2 0, 56.57, 1.627, 38.9
3 1 1, 67.51, 1.387, 32.8
2 2 2, 70.95, 1.328, 7.0
4 0 0, 84.16, 1.150, 5.3

Structural model:
abc: 4.6015 4.6015 4.6015
angles: 90.00 90.00 90.00
Atoms (fractional coordinates):
Ti (0.0000, 0.0000, 0.0000)
Ti (0.0000, 0.5000, 0.5000)
Ti (0.5000, 0.0000, 0.5000)
Ti (0.5000, 0.5000, 0.0000)
H (0.2500, 0.2500, 0.7500)
H (0.2500, 0.7500, 0.2500)
H (0.2500, 0.7500, 0.7500)
H (0.7500, 0.2500, 0.2500)
H (0.7500, 0.2500, 0.7500)
H (0.7500, 0.7500, 0.2500)
N (0.2500, 0.2500, 0.2500)
N (0.7500, 0.7500, 0.7500)


# ThFeSiC
Calculated X-ray powder pattern, CuKα. Input: DFT lattice parameters and positions (GGA-PBE).

Main lines, in order of rising 2θ (2θ = 10–90°):
index, Position (°2θ), d [Å], intensity
1 0 1, 25.53, 3.489, 63.6
0 0 3, 31.44, 2.845, 100.0
1 1 0, 33.14, 2.704, 28.1
1 1 1, 34.81, 2.577, 33.9
1 1 2, 39.47, 2.283, 23.6
2 0 0, 47.56, 1.912, 25.4
1 0 4, 48.91, 1.862, 18.5
1 1 4, 54.80, 1.675, 34.2
2 0 3, 58.14, 1.587, 45.6
2 2 3, 78.31, 1.221, 13.6

Structural model:
abc: 3.8235 3.8235 8.5276
angles: 90.00 90.00 90.00
Atoms (fractional coordinates):
Th (0.2500, 0.2500, 0.1611)
Th (0.7500, 0.7500, 0.8389)
Fe (0.2500, 0.7500, 0.5000)
Fe (0.7500, 0.2500, 0.5000)
Si (0.2500, 0.2500, 0.6517)
Si (0.7500, 0.7500, 0.3483)
C (0.2500, 0.2500, 0.8715)
C (0.7500, 0.7500, 0.1285)


# LuTiBi
Calculated X-ray powder pattern, CuKα. Input: DFT lattice parameters and positions (GGA-PBE).

Main lines, in order of rising 2θ (2θ = 10–90°):
index, Position (°2θ), d [Å], intensity
1 0 0, 20.65, 4.301, 29.4
1 0 1, 32.98, 2.716, 100.0
1 1 0, 36.17, 2.483, 65.5
2 0 1, 49.75, 1.833, 32.1
0 0 2, 52.24, 1.751, 7.7
2 1 1, 63.04, 1.475, 31.9
3 0 0, 65.06, 1.434, 11.9
1 1 2, 65.19, 1.431, 23.7
3 1 1, 86.11, 1.129, 14.2
3 0 2, 88.04, 1.109, 11.0

Structural model:
abc: 4.9664 4.9664 3.5024
angles: 90.00 90.00 120.00
Atoms (fractional coordinates):
Lu (0.0000, 0.0000, 0.0000)
Ti (0.3333, 0.6667, 0.5000)
Bi (0.6667, 0.3333, 0.5000)


# Al3ZnGa4
Calculated X-ray powder pattern, CuKα. Input: DFT lattice parameters and positions (GGA-PBE).

Main lines, in order of rising 2θ (2θ = 10–90°):
index, Position (°2θ), d [Å], intensity
0 2 0, 23.64, 3.763, 67.5
2 1 0, 24.59, 3.621, 79.7
2 1 1, 29.79, 2.999, 24.8
0 1 2, 35.59, 2.522, 29.7
2 0 2, 40.14, 2.247, 100.0
2 3 0, 42.15, 2.144, 83.4
4 0 0, 43.84, 2.065, 39.0
2 2 2, 47.11, 1.929, 40.7
0 3 2, 49.81, 1.831, 50.0
4 3 2, 68.50, 1.370, 37.1

Structural model:
abc: 8.2605 7.5257 5.3547
angles: 90.00 90.00 90.00
Atoms (fractional coordinates):
Al (0.0000, 0.1576, 0.0000)
Al (0.2468, 0.6634, 0.7606)
Al (0.2532, 0.3366, 0.2606)
Al (0.5000, 0.8424, 0.5000)
Al (0.7468, 0.3366, 0.2606)
Al (0.7532, 0.6634, 0.7606)
Harry Potter and the Gate of Gamers
Harry Potter and the Myth of a Holocaust
Harry Potter and the Prisoner of Sensitivity Camp
Harry Potter and the Mixed-Race Token Middle-Manager
Hxxxy Pottsperson
Granger Gets a Gun: When Magic Is Not Enough
Harry Potter and the Aztec Sacrifice
Harry Potter and the Case for Common Sense Wand Control
Harry Potter and the Gendered Bathroom
Harry Potter and the Great Wall of Mexico